What was the lowest level(s) you beat the game with?


The Spiritcaller
Mar 6, 2007
Guarding the gate to The Other Side.
Obviously, anyone could spend hours and hours trying to get up to level 99 and beat the final boss.

But what was the group you used and what were their lowest levels when you defeated the final boss?

Misplaced records of crystals:
- - -
Entry 1:
MnMo2Se: theoretical powder X-ray diffraction pattern (Cu Kα (λ = 1.5418 Å)), based on a DFT-relaxed cell (GGA-PBE, Alexandria).
No peak broadening, texture or thermal motion is included.

Structural model:
a b c (Å): 3.253 3.253 5.920
angles (deg): 90.00 90.00 90.00
Space group P4mm (No. 99)
One atom of each set of equivalent atoms:
Mn1 0.000 0.000 0.000 x1
Mo1 0.000 0.000 0.479 x1
Mo2 0.500 0.500 0.241 x1
Se1 0.500 0.500 0.775 x1

Peak list (8 most intense, 2θ = 15–90°, in order of rising 2θ)
31.38 deg, rel. 7
39.16 deg, rel. 61
41.24 deg, rel. 100
56.59 deg, rel. 20
72.38 deg, rel. 36
76.55 deg, rel. 13
84.18 deg, rel. 6
89.55 deg, rel. 9

***

Entry 2:
MnMoSe4: theoretical powder X-ray diffraction pattern (Cu Kα (λ = 1.5418 Å)), based on a DFT-relaxed cell (GGA-PBE, Alexandria).
No peak broadening, texture or thermal motion is included.

Structural model:
a b c (Å): 14.595 3.282 5.860
angles (deg): 90.00 104.51 90.00
Space group Cm (No. 8)
One atom of each set of equivalent atoms:
Mn1 0.000 0.000 0.000 x2
Mo1 0.490 0.000 0.605 x2
Se1 0.092 0.000 0.421 x2
Se2 0.119 0.500 0.967 x2
Se3 0.367 0.500 0.657 x2
Se4 0.403 0.000 0.153 x2

Peak list (8 most intense, 2θ = 15–90°, in order of rising 2θ)
31.54 deg, rel. 14
32.93 deg, rel. 18
34.77 deg, rel. 100
36.99 deg, rel. 42
42.19 deg, rel. 37
48.18 deg, rel. 41
55.00 deg, rel. 18
56.05 deg, rel. 15

***

Entry 3:
Mn2SiMo: theoretical powder X-ray diffraction pattern (Cu Kα (λ = 1.5418 Å)), based on a DFT-relaxed cell (GGA-PBE, Alexandria).
No peak broadening, texture or thermal motion is included.

Structural model:
a b c (Å): 5.910 5.910 5.910
angles (deg): 90.00 90.00 90.00
Space group F-43m (No. 216)
One atom of each set of equivalent atoms:
Mn1 0.000 0.000 0.000 x4
Mn2 0.250 0.250 0.250 x4
Si1 0.250 0.250 0.750 x4
Mo1 0.000 0.000 0.500 x4

Peak list (8 most intense, 2θ = 15–90°, in order of rising 2θ)
26.12 deg, rel. 12
30.25 deg, rel. 12
43.30 deg, rel. 100
51.27 deg, rel. 5
53.73 deg, rel. 3
62.91 deg, rel. 15
71.38 deg, rel. 4
79.45 deg, rel. 31

***

Entry 4:
SrMnMo2: theoretical powder X-ray diffraction pattern (Cu Kα (λ = 1.5418 Å)), based on a DFT-relaxed cell (GGA-PBE, Alexandria).
No peak broadening, texture or thermal motion is included.

Structural model:
a b c (Å): 2.953 4.143 7.019
angles (deg): 90.00 101.51 90.00
Space group Pm (No. 6)
One atom of each set of equivalent atoms:
Sr1 0.000 0.000 0.000 x1
Mn1 0.743 0.500 0.333 x1
Mo1 0.232 0.500 0.669 x1
Mo2 0.435 0.000 0.502 x1

Peak list (8 most intense, 2θ = 15–90°, in order of rising 2θ)
25.91 deg, rel. 17
33.88 deg, rel. 99
36.00 deg, rel. 58
38.05 deg, rel. 100
43.70 deg, rel. 38
45.24 deg, rel. 27
57.86 deg, rel. 28
58.09 deg, rel. 23

***

Entry 5:
- - -
End of the records of crystals:

It's been awhile, but if I remember correctly, I had;

Zidane- 42
Vivi- 46
Garnet- 35
Eiko- 35

No, I didn't use a gameshark with that and yes, it took a helluva long time to beat him at those levels. >.o I still have my tactics written down in the strategy guide I have if anyone's interested.
I don't really remember everyone level but I do remember Zidane and amarant I don't know why them of all people.

**Here the text breaks off for data records**
Record 1
Yb2CuTe2S2O14: theoretical X-ray powder pattern (CuKα), based on a structure optimized by DFT (GGA-PBE).

Largest 8 diffraction maxima, low angle first, 10° ≤ 2θ ≤ 90°:
2θ (°)	intensity	h k l
12.69	62	0 1 -1
22.89	100	1 -1 1
24.57	40	1 1 -2
25.05	75	0 2 0
29.87	39	1 2 -2
31.46	36	-1 1 2
32.42	37	1 1 1
33.83	37	2 0 -1

Crystal structure
abc: 5.3221 8.1262 8.4459
angles: 115.61 105.28 95.58
Space group P-1 (No. 2)
One atom of each set of equivalent atoms:
Yb 0.1805 0.2342 0.0248
Cu 0.5000 0.5000 0.5000
Te 0.1152 0.7622 0.6358
S 0.4041 0.7414 0.2397
O 0.1265 0.9085 0.8834
O 0.1290 0.4382 0.3658
O 0.1669 0.8254 0.2370
O 0.3096 0.5401 0.0946
O 0.4028 0.1587 0.8100
O 0.4350 0.6804 0.7122
O 0.4644 0.2378 0.5731

Record 2
U2CuS2O22: theoretical X-ray powder pattern (CuKα), based on a structure optimized by DFT (GGA-PBE).

Largest 8 diffraction maxima, low angle first, 10° ≤ 2θ ≤ 90°:
2θ (°)	intensity	h k l
12.42	100	0 1 -1
13.75	41	1 0 0
14.82	39	1 -1 0
19.24	42	0 1 1
21.40	30	0 0 2
24.25	36	1 1 -2
25.00	32	0 2 -2
26.03	32	2 -1 0

Crystal structure
abc: 6.8888 8.3940 9.1279
angles: 112.07 93.20 107.66
Space group P-1 (No. 2)
One atom of each set of equivalent atoms:
U 0.1465 0.2719 0.2424
Cu 0.0000 0.0000 0.5000
S 0.3322 0.7035 0.6222
O 0.0019 0.7739 0.3326
O 0.0874 0.1282 0.3581
O 0.1545 0.6738 0.7105
O 0.1630 0.9651 0.0189
O 0.1915 0.3854 0.1095
O 0.1964 0.3250 0.7611
O 0.2749 0.5317 0.4686
O 0.2823 0.8948 0.0630
O 0.3302 0.2469 0.7179
O 0.3760 0.8665 0.5940
O 0.4881 0.2974 0.2765

* * * * *

Entry 1:
For Ba4HfO6, the GGA-PBE geometry in the Materials Project gives the calculated X-ray diffraction stick pattern in this record (Cu Ka).

Crystal structure
Cell: 10.5264 10.5264 13.0550 Å, 90.00 90.00 120.00°
Space group R-3c (No. 167, hexagonal axes)
Asymmetric unit:
Ba 0.0000 0.0000 0.2500 x6
Ba 0.0000 0.3644 0.2500 x18
Hf 0.0000 0.0000 0.0000 x6
O 0.0220 0.1748 0.4048 x36

Main lines, sorted by position (10° ≤ 2θ ≤ 90°):
hkl, 2theta, Rel. int.
1 1 0, 16.85, 18
1 1 3, 26.58, 61
1 0 4, 29.06, 12
3 0 0, 29.39, 100
0 2 4, 33.78, 28
2 1 4, 37.97, 31
2 2 3, 40.04, 31
3 2 4, 51.93, 24
3 3 0, 52.13, 18
3 5 4, 79.19, 12

***

Entry 2:
For BaHfSi3O9, the GGA-PBE geometry in the Materials Project gives the calculated X-ray diffraction stick pattern in this record (Cu Ka).

Crystal structure
Cell: 6.8359 6.8359 10.1102 Å, 90.00 90.00 120.00°
Space group P-6c2 (No. 188)
Asymmetric unit:
Ba 0.0000 0.0000 0.0000 x2
Hf 0.3333 0.6667 0.0000 x2
Si 0.4463 0.0525 0.2500 x6
O 0.0872 0.4109 0.1162 x12
O 0.4188 0.1387 0.7500 x6

Main lines, sorted by position (10° ≤ 2θ ≤ 90°):
hkl, 2theta, Rel. int.
1 0 0, 14.96, 51
0 0 2, 17.54, 17
1 0 2, 23.14, 82
1 1 0, 26.07, 37
1 1 2, 31.60, 100
1 1 4, 44.59, 29
3 0 0, 45.99, 18
3 0 2, 49.59, 22
2 1 4, 54.79, 16
2 2 2, 56.85, 22

***

Entry 3:
For Ba4SrHf5O15, the GGA-PBE geometry in the Materials Project gives the calculated X-ray diffraction stick pattern in this record (Cu Ka).

Crystal structure

Zidane lvl 76
Amarant lvl 74
Yep I only completed the game once.
I have no idea what the specifics are on my levels since I beat the game back in 2002, but I remember being around the 40's to 50 range for character levels.
This is a funny question for me! LOL! i think that the end boss for me should be easy, cause you trained all that time before you reached the end. All my characters were level 99 and they have all abilities and skills.
I don't really remember but I had Zidane, Freya, Steiner and Dagger at a level somewhere between 50 and 60 :).
Now...just 'cause I'm curious, what tactics did you guys use?

I had everyone equipped with something that either resists or absorbs the Shadow element, Vivi equipped with Return Magic, Zidane equipped with a Reflect Ring, and everyone equipped with Jelly, Antibody, Clear-headed, and Loudmouth abilities (to avoid the status-inflicting attacks).

Zidane used Grand Lethal whenever he trances
Vivi either uses Doomsday or uses Flare on Zidane (which reflects back onto Necron with more damage)
Dagger summoned either Bahamut or Ark and used Curaga on whoever was damaged (except for Zidane)
Eiko used either Full Life or a Phoenix/Full Heal combination on a KOed ally. Otherwise, I had her cast Madeen

*shrug* And I just kept going with that.
The lowest level i ever beat the game was with most characters in early 40´s and Zidane at level 50 i believe!
Me and my friend actually pulled off a level 1 challenge. We ended up getting the Excalibur II in that run too. I know its hard to believe, but its possible. It doesn't matter what level you are; its all about abilities and your equips.
My levels when I finished Final Fantasy IX for the first time.....
Garnet 72
Zidane 68
Amarant 63
Steiner 68
My best run (so far) was:

Records of crystals, kept here for reference >
-- begin --
Computed powder XRD pattern of CaPr2Nd3 for Cu Kα X-rays, from DFT lattice parameters and positions (GGA-PBE).

Peak list (10 most intense, 2θ = 5–70°, by angle)
two_theta, Rel. int.
7.36, 22
29.15, 44
29.76, 46
30.20, 50
30.61, 100
31.50, 46
41.12, 17
45.21, 17
55.31, 14
60.15, 15

Structural model:
```
CaPr2Nd3
1.0
3.602 0.000 0.000
-0.004 10.113 0.000
-0.012 -3.182 12.010
Ca Pr Nd
2 4 6
direct
0.247 0.224 0.382 Ca
0.753 0.776 0.618 Ca
0.250 0.462 0.658 Pr
0.250 0.870 0.378 Pr
0.750 0.130 0.622 Pr
0.750 0.538 0.342 Pr
0.249 0.290 0.120 Nd
0.251 0.026 0.866 Nd
0.251 0.638 0.109 Nd
0.749 0.362 0.891 Nd
0.749 0.974 0.134 Nd
0.751 0.710 0.880 Nd
```

----------

Diffraction record for Li3Mg. The powder diffractogram is computed, not measured: it uses a crystal structure in the Materials Project, relaxed with PBE and Cu Kα (weighted mean of Kα1 and Kα2).
Neutral-atom scattering factors, no anomalous dispersion.

Largest 10 diffraction maxima, by intensity, 2θ = 10–90°:
2θ = 37.1°, rel. 100.0; 2θ = 22.5°, rel. 64.0; 2θ = 66.9°, rel. 33.6; 2θ = 26.0°, rel. 33.1; 2θ = 43.8°, rel. 30.9; 2θ = 53.5°, rel. 17.1; 2θ = 58.8°, rel. 12.3; 2θ = 60.4°, rel. 11.2; 2θ = 79.1°, rel. 9.8; 2θ = 45.9°, rel. 9.0

```
4
Lattice="0.000 3.425 3.425 3.425 0.000 3.425 3.425 3.425 0.000" Properties=species:S:1:pos:R:3 pbc="T T T"
Li 0.000 0.000 0.000
Li 1.713 1.713 1.713
Li 5.138 5.138 5.138
Mg 3.425 3.425 3.425
```

---

Diffraction record for LiMg. The powder diffractogram is computed, not measured: it uses a crystal structure in the Materials Project, relaxed with PBE and Cu Kα (weighted mean of Kα1 and Kα2).
Neutral-atom scattering factors, no anomalous dispersion.

Largest 10 diffraction maxima, by intensity, 2θ = 10–90°:
2θ = 37.4°, rel. 100.0; 2θ = 11.1°, rel. 97.4; 2θ = 38.4°, rel. 38.2; 2θ = 35.7°, rel. 33.1; 2θ = 28.6°, rel. 25.2; 2θ = 32.7°, rel. 22.5; 2θ = 49.2°, rel. 20.6; 2θ = 33.7°, rel. 19.4; 2θ = 65.2°, rel. 16.5; 2θ = 59.8°, rel. 16.4

```
6
Lattice="5.036 0.000 0.000 0.000 1.600 7.948 0.000 -1.600 7.948" Properties=species:S:1:pos:R:3 pbc="T T T"
Li 0.000 0.000 0.000
Li 0.000 0.000 5.299
Li 2.518 0.000 14.100
Mg 0.000 0.000 10.589
Mg 2.518 0.000 3.547
Mg 2.518 0.000 8.721
```

---

Diffraction record for LiMg7. The powder diffractogram is computed, not measured: it uses a crystal structure in the Materials Project, relaxed with PBE and Cu Kα (weighted mean of Kα1 and Kα2).
Neutral-atom scattering factors, no anomalous dispersion.

Largest 10 diffraction maxima, by intensity, 2θ = 10–90°:
2θ = 37.1°, rel. 100.0; 2θ = 34.5°, rel. 27.2; 2θ = 32.7°, rel. 24.5; 2θ = 63.5°, rel. 19.3; 2θ = 69.5°, rel. 19.1; 2θ = 58.3°, rel. 16.8; 2θ = 48.2°, rel. 15.8; 2θ = 71.1°, rel. 13.4; 2θ = 16.2°, rel. 6.6; 2θ = 23.6°, rel. 5.7

```
8
Lattice="6.332 0.000 0.000 -3.166 5.484 0.000 0.000 0.000 5.204" Properties=species:S:1:pos:R:3 pbc="T T T"
Li 0.000 0.000 0.000
Mg -1.582 2.742 0.000
Mg 0.000 1.820 2.602
Mg -1.589 4.573 2.602
Mg 0.000 5.483 0.000
Mg 1.582 2.742 0.000
-- stop --

Zidane: 49
Garnet: 26
Steiner: 44
Vivi: 41
Freya: 42
Amarant: 38
Eiko: 39
Quina: 45

That was OK, I simply equalled out everyone...
I would have to say that my best run was the second time i went through it. I had the guide at this point and i new the bosses pretty well. Every character was under level 40 some that i didn't use were around 32-34. It was kinda hard but i didn't really feel like leveling up again:).
The first time I completed the game my characters levels were in the early 50's, can't remember them exactly though. It was a difficult last few battles, but I eventually beat Necron xD

And the next time I completed it, my characters were like, at level 70 xD